Palestinian and international civilians will resist revenge home demolitions on the second night in a row

17th October 2015 | International Solidarity Movement, Nablus team | Nablus area, occupied Palestine

Palestinian civilians joined by International solidarity activists will gather tonight, Friday 17, October 2015, at the Nablus city homes of Yahya Hamad, Karam Al-masri and Sameer Al-kosa after Israeli forces threatened revenge demolitions.

This action of resistance started on the 15th of October where hundreds of Palestinians gathered outside the house to protest the illegal practice of house demolitions and managed to prevent Israeli forces from demolishing the house. Both yesterday and today the resistance has been joined by international civilians supporting the Palestinians. These international civilians consists of a vast variety of nationalities including the United States, Australia, France, Italy, Ireland, the United Kingdom, Holland, Moldovia, Chile and Canada.

A Call has been launched to maintain vigil outside of the targeted buildings and prevent the occupation forces from carrying out the demolition process.
The house of Sameer Kosa family in Al Dahiyya, the house of Yaha Hamad family in at Rojeeb st, and the house of Karam Al-masri family in North mountain are all under threat of demolition tonight on allegations of their involvement in the killing of a settler couple from the illegal settlement of Ithamar against earlier this month. All are Palestinian prisoners whose families will endure the collective punishment measures which have been Israel’s long established practice.

Marie, an international activist from the US staying in the house: ‘Punishing a family for something that one of their members has allegedly done, is just not acceptable, this is illegal and should not happen in any country which respects human rights and considers itself democratic’.
For more information call: 059-892-0497

PMRS to Israeli forces: Stop attacking our personel!

Repost of an appeal by Palestine Medical Relief Society:
In light of the current climate of tensions in the West Bank and in East Jerusalem particularly which has led to deadly attacks on civilians and the unacceptable systematic use of lethal force by Israeli forces against Palestinians, the Palestinian Medical Relief Society (PMRS) calls for the respect of  international humanitarian law and condemns in the strongest terms the excessive use of lethal force by Israeli forces which has resulted on several occasions within the past three weeks in what can only be described as executions of Palestinian men and women. PMRS calls on international non-governmental institutions, as well as all levels of international civil society to demand Israel respect its obligations under international law and pressure the Israeli government to abandon at once its logic of brutal repression and unrestrained use of force against children and young people.
Since the beginning of this month, 31 Palestinians have been shot dead, including several children. PMRS is gravely concerned by the escalation in the killing of Palestinian minors by police, army and settlers, the extra-judicial execution character of many of these killings, as well as the allegations – seemingly corroborated in several cases by videos and witness statements – that Israeli forces and settlers have tampered with several of the killing scenes, planting weapons next to the Palestinian victims in order to justify the murders.
Moreover, an estimated 1,500 Palestinians were injured by live rounds and rubber-coated steel bullets only since the start of hostilities, or an average of 100 a day. This number does not include the injuries resulting from excessive tear gas inhalation and physical assaults.
According to Dr. Mustafa Barghouti: “What we have witnessed during the last two weeks is intentional attacks by Israeli forces on Palestinian health professionals, doctors and first aid providers. That has included beating them, shooting them with live ammunitions and metallic bullets. One victim was Doctor Amer Aqel, who was hit in the eye with one of the rubber-coated steel bullets and lost his left eye. Ten first aid providers from the PMRS have been injured in various ways in Ramallah, Bethlehem, Jerusalem and Nablus. Additionally, several health workers and nurses working with the Ministry of Health and the Red Crescent were also injured. The Israeli army’s behavior does not respect the neutrality of medical professionals. Many ambulances were also hit with tear gas bombs and rubber bullets. Additionally, the Israeli army has been attacking journalists to prevent coverage of what is going on. So far, 41 journalists have been injured. Many have been beaten. One of them, Salah Ziad , working for Pal Media, was hit a  live ammunitions.”
The violence of the past two weeks did not happen in a vacuum but rather is the inevitable result of the Israeli ongoing occupation and the ever-growing repression and Human Rights violations that come with it. Colonization, home demolitions, displacement of entire families, the impunity granted to settlers and armed forces, indiscriminate shooting and bombing of civilians… all these have been going on for decades with the international community idly watching by, hiding behind a long-time moribund peace process and the Oslo accords which have been emptied of their meaning and purpose by continuous Israeli violations. In recent decades, European countries have spent millions of Euros of taxpayers’ money to rebuild what Israel keeps destroying with impunity, from Palestinian homes, water supplies, livelihood to their very lives. This has to stop now.
PMRS calls on the international community to demand that Israel cease its serious breaches of Human Rights and humanitarian law at once, failing which, economic and political sanctions should be considered.
PMRS, just as other local and international health organizations has activated its emergency response plan in East Jerusalem and all over the West Bank. First aid teams, ambulances and mobile clinic vehicles are on the ground, ready to deploy to areas of need as they arise. Considering the level of tensions and the absence of any prompt resolution in sight, PMRS has concerns about its capacity to sustain its work during these times of emergency due to low funding and chronic medication shortages. Accordingly, PMRS calls on all international donors to allocate contingency funding and medical supplies to the current emergency.
Photo credit: PMRS
Photo credit: PMRS
Photo credit: PMRS
Photo credit: PMRS
Photo credit: PMRS
Photo credit: PMRS

Palestinian and international civilians to resist revenge home demolitions

16th October 2015 | International Solidarity Movement, Al-Khalil team | Nablus area, occupied Palestine

Palestinian civilians joined by International solidarity activists will gather tonight, Friday 16, October 2015, at the Nablus city homes of Yahya Hamad, Karam Al-masri and Sameer Al-kosa after Israeli forces threatened revenge demolitions within 24 hours.

Yesterday night, hundreds of Palestinians gathered outside the house to protest the illegal practice of house demolitions and managed to prevent Israeli forces from demolishing the house. Tonight, they will be joined by internationals from the United States, Australia, France, Italy, Ireland, the United Kingdom and Holland.

A Call has been launched to maintain vigil outside of the targeted buildings and prevent the occupation forces from carrying out the demolition process.
The house of Sameer Kosa family in Al Dahiyya, the house of Yaha Hamad family in at Rojeeb st, and the house of Karam Al-masri family in North mountain are all under threat of demolition tonight on allegations of their involvement in the killing of a settler couple from the illegal settlement of Ithamar against earlier this month. All are Palestinian prisoners whose families will endure the collective punishment measures which have been Israel’s long established practice.

Marie, an international activist from the US staying in the house: ‘Punishing a family for something that one of their members has allegedly done, is just not acceptable, this is illegal and should not happen in any country which respects human rights and considers itself democratic’.


Watch a video of the events of last night, where you can hear Palestinians chanting when the army arrives (despite the low quality of the image, the sound illustrates the amount of people present) :

Settlers terrorize Palestinian farmers in Burin: burn trees and disrupt olive harvest

14th October 2015 | International Solidarity Movement, Nablus team | Burin, occupied Palestine

A Palestinian farmer and English human rights defender have been hospitalized and at least 40 olive trees burnt following an attack by illegal Israeli settlers in the northern West Bank town of Burin today.

At 10am this morning, as ISM and other international volunteers accompanied olive farmers who have repeatedly been restricted from accessing their fields, gun shots were heard ringing out across the valley from the settlement above. Approximately thirty masked settlers from the illegal Yizhar settlement then descended the hill and started throwing stones at the group which had peacefully been picking olives for several hours. International human rights defender David Amos, a Quaker from London, was repeatedly attacked with rocks from three meters away, causing two head wounds and copious bleeding. The owner of the land, Abed Musaa, was hit in the front and back with stones and has been treated for lacerations and bruising. The attacking settlers also stole phones, a camera and a bag from the international human rights defenders.

The settlers were then witnessed setting four separate fires to grass on the edge of the olive groves which rapidly grew in dimensions, consuming olive trees and the grasslands between family plots. Two Israeli forces jeeps and two collaborating illegal settler vehicles drove into the valley, took photos of the scene, and then parked alongside each other on the road to Yizhar as more fires were lit by the masked settlers throughout the valley.

Records of crystals, kept here for reference
Entry 1:
Material: Ag2W
Method: DFT, PBE-GGA
State: optimized geometry

Structure (POSCAR):
```
Ag2W
1.0
-0.035 2.335 4.500
0.255 5.058 0.229
-2.457 -4.164 -1.524
W Ag
1 2
Direct
0.000 0.000 0.000
0.666 0.666 0.000
0.334 0.334 0.000
```

=====

Entry 2:
Material: AgW3
Method: DFT, PBE-GGA
State: optimized geometry

Structure (POSCAR):
```
AgW3
1.0
-2.271 0.785 -2.239
-2.172 -1.935 1.525
-1.783 4.737 3.470
W Ag
3 1
Direct
0.500 0.500 0.733
0.500 0.500 0.267
0.000 0.000 0.500
0.000 0.000 0.000
```

=====

Entry 3:
Material: AgW3
Method: DFT, PBE-GGA
State: optimized geometry

Structure (POSCAR):
```
AgW3
1.0
6.581 0.000 -0.014
0.000 4.539 0.000
-8.138 0.000 2.226
W Ag
3 1
Direct
0.500 0.000 0.000
0.273 0.500 0.011
0.727 0.500 0.989
0.000 0.000 0.000
```

=====

| no. | total DFT energy (no corrections) (eV/atom) | formation energy from the elements (kJ/mol of formula units) |
| --- | --- | --- |
| 1 | -5.3870 | 241 |
| 2 | -9.8639 | 218 |
| 3 | -9.9536 | 183 |

~~~~~

(1)
Here is a relaxed CoBi2O6 crystal from Alexandria. Energies are from GGA-PBEsol.

Unit cell a=4.834 b=4.834 c=9.696 alpha=90.00 beta=90.00 gamma=90.00
Atoms (fractional coordinates):
Co1 0.000 0.000 0.000
Co2 0.500 0.500 0.500
Bi1 0.000 0.000 0.334
Bi2 0.000 0.000 0.666
Bi3 0.500 0.500 0.166
Bi4 0.500 0.500 0.834
O1 0.180 0.180 0.147
O2 0.180 0.180 0.853
O3 0.224 0.224 0.500
O4 0.276 0.724 0.000
O5 0.320 0.680 0.353
O6 0.320 0.680 0.647
O7 0.680 0.320 0.353
O8 0.680 0.320 0.647
O9 0.724 0.276 0.000
O10 0.776 0.776 0.500
O11 0.820 0.820 0.147
O12 0.820 0.820 0.853

Values from the calculation:
**Formation energy (no corrections)**: -0.908 eV/atom

***

(2)
Here is a relaxed CoBiPO2 crystal from Alexandria. Energies are from GGA-PBEsol.

Unit cell a=4.041 b=4.041 c=5.512 alpha=90.00 beta=90.00 gamma=90.00
Atoms (fractional coordinates):
Co1 0.000 0.000 0.000
Bi1 0.500 0.500 0.500
P1 0.500 0.500 0.000
O1 0.000 0.500 0.500
O2 0.500 0.000 0.500

Values from the calculation:
**Formation energy (no corrections)**: 0.560 eV/atom

***

(3)
Here is a relaxed CoBi6S2O16 crystal from Alexandria. Energies are from GGA-PBEsol.

Unit cell a=8.025 b=8.025 c=11.066 alpha=127.58 beta=127.58 gamma=40.60
Atoms (fractional coordinates):
Co1 0.000 0.000 0.000
Bi1 0.030 0.936 0.309
Bi2 0.064 0.970 0.691
Bi3 0.311 0.365 0.006
Bi4 0.389 0.297 0.352
Bi5 0.635 0.689 0.994
Bi6 0.703 0.611 0.648
S1 0.441 0.249 0.703
S2 0.751 0.559 0.297
O1 0.029 0.798 0.054
O2 0.130 0.530 0.183
O3 0.202 0.971 0.946
O4 0.239 0.465 0.793
O5 0.300 0.700 0.500
O6 0.353 0.100 0.550
O7 0.470 0.870 0.817
O8 0.499 0.367 0.682
O9 0.535 0.761 0.207
O10 0.626 0.034 0.178
O11 0.633 0.501 0.318
O12 0.696 0.053 0.799
O13 0.788 0.212 0.500
O14 0.900 0.647 0.450
O15 0.947 0.304 0.201
O16 0.966 0.374 0.822

Values from the calculation:
**Formation energy (no corrections)**: -1.321 eV/atom

***

(4)
Here is a relaxed CoBi6S2O16 crystal from Alexandria. Energies are from GGA-PBEsol.
The text goes on

Israeli forces then scaled the valley and were witnessed saying to Palestinians, “yes you want peace, we want peace, they want peace,” referring to the settlers. Burin farmer and school teacher Doha and Samir were prohibited from continuing to pick olives on their land, being told they required a permit despite no legal provision to that effect, being within Area B zoning under the Oslo accords.

Palestinian firefighters were prohibited from accessing the fire for three hours, being told that a permit was required to utilize the road to the Yizhar settlement, which has been heavily restricted to Palestinian traffic in recent weeks. Palestinian civil workers, farmers, and international human rights defenders attempted to put out the blaze with sand, shovels, and olive branches but were unable to stop the spread of the fire amid 30 degree heat and rising winds.

Olives are a traditional produce of the Nablus district and constitute 25% of the West Bank’s economy (OCHA 2014). This critical October harvest season falls amid rising tensions in the West Bank, as Israeli forces increase their deployment of soldiers and use of violence in the occupied territories. The Yizhar settlement has also been implicated in the tragic death of 18 month old Ali Dawabsheh and his parents in the Palestinian village of Duma two months ago.

Armed illegal settler
Armed illegal settler
Settlers lighting fires throughout valley
Settlers lighting fires throughout valley
Masked settlers in the olive fields
Masked settlers in the olive fields
International human rights observer David Amos attacked by settlers
International human rights observer David Amos attacked by settlers
Israeli forces photograph fires
Israeli forces photograph fires
Palestinian civil workers attempt to put out fires while fire truck prohibited entry
Palestinian civil workers attempt to put out fires while fire truck prohibited entry
Fires rage across Burin valley
Fires rage across Burin valley

Israeli army prevents farmers to pick olives in Burin

9th October 2015 | International Solidarity Movement, Nablus Team | Burin, Occupied Palestine


This Friday morning, at approximately 10:30 am, a group of 6 soldiers came down the mountain from the illegal Israeli settlement, Arousa, in the village of Burin, to prevent the family of Ahmad Mustafa Najjar from picking their olives.

Israeli soldiers prevent Ahmad's family from picking their olives
Israeli soldiers prevent Ahmad’s family from picking their olives

Early in the morning, a group of illegal Israeli settlers from Arousa came to the farm and began threatening and intimidating Ahmad’s family. Ahmad’s uncle, Salah Najjar, telephoned Abu Mursi, from the District Coordination Office, to ask for help and managed to make settlers go away. Soon afterwards, a group of six soldiers arrived shouting aggressively and demanding the family to stop working. The family protested and the commander argued they were not authorized to pick olives, despite the fact that the family owns the land and trees and, therefore, does not need to have a permit. International activists asked the commander and soldiers what was the reason to stop them from picking olives from their own trees inside their privately owned land, and the commander and soldiers would not give an answer.


Abu Mursi, member of the village council, argues with commander that the family is entitled to pick olives in their field
Abu Mursi, member of the village council, argues with commander that the family is entitled to pick olives in their field

# The entry is interrupted by crystal structures
........
# TlIn2Cl

A geometry-optimized TlIn2Cl structure (GGA-PBE, Alexandria).

a = 7.671 Å, b = 7.671 Å, c = 7.671 Å
α = 90.00°, β = 90.00°, γ = 90.00°
Space group F-43m (No. 216)
Symmetry-distinct sites (fractional):
Tl 0.000 0.000 0.000
In 0.000 0.000 0.500
In 0.250 0.250 0.250
Cl 0.250 0.250 0.750

Results
* raw formation energy: -186 meV/atom

# TlInCl

A geometry-optimized TlInCl structure (GGA-PBE, Alexandria).

a = 3.930 Å, b = 3.930 Å, c = 11.105 Å
α = 90.00°, β = 90.00°, γ = 90.00°
Space group I4mm (No. 107)
Symmetry-distinct sites (fractional):
Tl 0.000 0.000 0.000
In 0.000 0.000 0.324
Cl 0.000 0.000 0.681

Results
* raw formation energy: -390 meV/atom

# TlInCl2

A geometry-optimized TlInCl2 structure (GGA-PBE, Alexandria).

a = 3.807 Å, b = 5.235 Å, c = 12.182 Å
α = 90.00°, β = 90.00°, γ = 90.00°
Space group Imm2 (No. 44)
Symmetry-distinct sites (fractional):
Tl 0.000 0.000 0.000
In 0.000 0.500 0.226
Cl 0.000 0.000 0.527
Cl 0.000 0.500 0.716

Results
* raw formation energy: -815 meV/atom

# TlInCl4

A geometry-optimized TlInCl4 structure (GGA-PBE, Alexandria).

a = 9.673 Å, b = 14.283 Å, c = 6.457 Å
α = 90.00°, β = 118.78°, γ = 90.00°
Space group C2/c (No. 15)
Symmetry-distinct sites (fractional):
Tl 0.000 0.165 0.250
In 0.000 0.422 0.750
Cl 0.160 0.299 0.691
Cl 0.176 0.449 0.197

Results
* raw formation energy: -1076 meV/atom

# TlIn2Cl

A geometry-optimized TlIn2Cl structure (GGA-PBE, Alexandria).

a = 3.728 Å, b = 5.864 Å, c = 10.271 Å
α = 90.00°, β = 90.00°, γ = 90.00°
Space group Cmmm (No. 65)
Symmetry-distinct sites (fractional):
Tl 0.000 0.000 0.000
In 0.000 0.500 0.277
Cl 0.000 0.000 0.500

Results
* raw formation energy: -263 meV/atom

# TlInCl2

A geometry-optimized TlInCl2 structure (GGA-PBE, Alexandria).

a = 4.5290 Å, b = 4.5290 Å, c = 27.9828 Å
α = 90.00°, β = 90.00°, γ = 120.00°
Space group R-3m (No. 166, hexagonal axes)
Symmetry-distinct sites (fractional):
Tl 0.0000 0.0000 0.0000
In 0.0000 0.0000 0.5000
Cl 0.0000 0.0000 0.1024

Results
* raw formation energy: -694 meV/atom

# TlIn2Cl

A geometry-optimized TlIn2Cl structure (GGA-PBE, Alexandria).

a = 3.504 Å, b = 5.145 Å, c = 6.327 Å
α = 90.00°, β = 90.00°, γ = 90.00°
Space group Pmmm (No. 47)
Symmetry-distinct sites (fractional):
Tl 0.000 0.000 0.000
In 0.500 0.500 0.259
Cl 0.000 0.000 0.500

Results
* raw formation energy: -257 meV/atom

# TlIn2Cl

A geometry-optimized TlIn2Cl structure (GGA-PBE, Alexandria).

a = 3.780 Å, b = 5.062 Å, c = 6.169 Å
α = 90.00°, β = 91.42°, γ = 90.00°
Space group Pm (No. 6)
Symmetry-distinct sites (fractional):
Tl 0.000 0.000 0.000
In 0.002 0.000 0.500
In 0.502 0.500 0.503
Cl 0.500 0.500 0.997

Results
* raw formation energy: -353 meV/atom

no.,total moment (μB/f.u.)
1,0.00
2,0.00
3,0.00
4,0.00
5,0.00
6,0.00
7,0.00
8,0.00
........

Abu Mursi, member of the DCO, quickly arrived to the field to insist to the soldiers that the family does not need permission to pick their olives.

The argument continued for one hour, until a second commander arrived and made the decision that the family was not allowed to pick olives from the four highest trees, forcing them to move downwards to pick olives from other trees instead.

### Data records, as found in the file
+++
## PrHg2MoO6 (GGA+U)

Data for a geometry-optimized PrHg2MoO6 structure.

Output
* total energy: -57.0 eV per cell
* SG: P-1 (2)

Geometry as POSCAR:
```
PrHg2MoO6
1.0
-3.270 0.498 4.747
1.957 -2.098 5.027
1.848 3.911 4.238
Pr O Hg Mo
1 6 2 1
direct
0.816 0.816 0.552 Pr
0.976 0.544 0.277 O
0.106 0.420 0.821 O
0.526 0.213 0.282 O
0.428 0.661 0.819 O
0.657 0.088 0.826 O
+++

According to Ahmad, his family has lost $3.000 shekels because those 4 trees would make 120 liters of olive oil. He adds, “The soldiers violently beat my cousins, Muntasar and Mohammad, and I had to stand between them to stop the soldiers from killing them.”

Burin is a village located south west of the city of Nablus, which suffers from an ongoing harassment from the Israeli army. During the last month, Israeli soldiers have carried out several night raids into the villagers’ homes, waking up families in the middle of the night and searching their houses, with the clear purpose of terrifying the villagers.

Particularly during the olive harvest season, the farmers of Burin are scared of going to their fields to pick olives, especially in the farms located near the illegal settlements, due to the high risk of being attacked by settlers.

Note how one of the soldiers who came today is loaded with tear gas canisters; an unjustified excess of weapons
Note how one of the soldiers who came today is loaded with tear gas canisters; an unjustified excess of weapons